Thu 18 May, 2006 09:06 pm
Alright folks. Whaddaya think?
Gold-digger or true but troubled ex-spouse?
McCartney's Split
I think they're both nitwits. If he married her without a prenup, he deserves to get taken to the cleaners for his negligent stupidity, if nothing else.
He should never have left her with a leg to stand on...
Who cares? I don't know these people personally.
I'd like for her to be a gold-digger and clean the boy out.
[Next to the text, the page also holds materials data]
<<<
Diffraction record for MgW2O7. The powder X-ray diffraction pattern is computed, not measured: it uses a cell relaxed with PBE+U and Cu Kα X-rays.

```
20
Lattice="6.2364 0.0000 0.0000 0.0000 6.2933 0.0000 -2.9128 0.0000 8.0204" Properties=species:S:1:pos:R:3 pbc="T T T"
Mg -0.2125 0.0000 1.0789
Mg 3.5361 3.1467 6.9415
W 0.3283 3.3015 2.3573
W 0.2141 3.9150 5.9555
W 3.1095 0.7683 2.0649
W 2.9953 0.1548 5.6630
O -0.6924 1.8342 2.2165
O 0.1124 4.1393 0.7140
O -1.0222 2.5851 6.0297
O -0.0923 4.2026 3.9046
O 1.5288 6.1684 2.0138
O 0.0061 4.6884 7.5147
O 1.9881 2.6385 2.5307
O 1.3356 5.7852 5.4897
O 3.3176 1.5417 0.5057
O 1.7948 3.0218 6.0066
O 3.4159 1.0560 4.1157
O 4.3459 5.7318 1.9907
O 3.2112 0.9926 7.3063
O 4.0161 4.9808 5.8039
```

The 8 most intense peaks (10° ≤ 2θ ≤ 90°), most intense first:
(1 1 0), d = 4.289 Å, 20.71 deg, I = 100
(0 0 2), d = 4.010 Å, 22.17 deg, I = 65
(1 1 -1), d = 4.250 Å, 20.90 deg, I = 62
(2 0 -1), d = 3.117 Å, 28.64 deg, I = 35
(1 1 -2), d = 3.381 Å, 26.36 deg, I = 31
(1 1 2), d = 2.621 Å, 34.21 deg, I = 29
(1 1 -3), d = 2.576 Å, 34.83 deg, I = 26
(0 2 2), d = 2.475 Å, 36.29 deg, I = 25
>>>
[The text goes on]
Then maybe he'd start talking about something other than animal-rights blahblahblah.
All he needs is enough cash to live. He's had a good life. I wouldn't feel bad if he went broke.
I recall reading how his older children were not in favor of this marriage and wonder, if that was the case, how messy this must be now. Does anyone know British law? Can she walk away with half?
No, she won't get half.
## Inserted here: crystal structures
~~~
This entry pairs a crystal structure of SrZnF2 with its simulated PXRD pattern. Radiation: Cu Ka. Structure: the GGA-PBE geometry in the Materials Project.
Lines closer than 0.1° are merged.

The 8 most intense peaks (10 to 90 degrees two-theta), sorted by position:
| 2θ (°) | I_rel |
| --- | --- |
| 27.66 | 100 |
| 31.31 | 38 |
| 32.42 | 73 |
| 45.69 | 48 |
| 46.50 | 23 |
| 53.53 | 22 |
| 54.97 | 38 |
| 57.13 | 23 |

Crystal structure
```
16
Lattice="-3.906 3.906 5.714 3.906 -3.906 5.714 3.906 3.906 -5.714" Properties=species:S:1:pos:R:3 pbc="T T T"
Sr 0.000 0.000 0.000
Sr -1.953 1.953 2.857
Sr 0.000 3.906 0.000
Sr 1.953 1.953 2.857
Zn 1.953 1.953 -2.857
Zn 1.953 -1.953 2.857
Zn 3.906 0.000 0.000
Zn 0.000 0.000 5.714
F -0.008 0.467 2.450
F 1.486 1.945 0.407
F 2.420 -1.945 6.121
F 3.898 0.467 3.264
F 0.008 3.439 2.450
F 1.486 5.851 -0.407
F 2.420 1.961 5.306
F 3.914 3.439 3.264
```

This entry pairs a crystal structure of Sr5Zr3F22 with its simulated PXRD pattern. Radiation: Cu Ka. Structure: the GGA-PBE geometry in the Materials Project.
Lines closer than 0.1° are merged.

The 8 most intense peaks (10 to 90 degrees two-theta), sorted by position:
| 2θ (°) | I_rel |
| --- | --- |
| 24.04 | 92 |
| 26.93 | 33 |
| 28.67 | 100 |
| 43.49 | 38 |
| 45.26 | 56 |
| 50.30 | 25 |
| 50.85 | 15 |
| 53.40 | 19 |

Crystal structure
```
60
Lattice="7.745 0.000 0.000 0.000 10.476 0.000 0.000 0.000 10.462" Properties=species:S:1:pos:R:3 pbc="T T T"
Sr 0.000 0.000 0.208
Sr 0.000 0.000 4.830
Sr 0.000 5.238 9.804
Sr 1.830 3.065 2.649
Sr 2.042 8.303 7.813
Sr 3.873 0.000 0.658
Sr 3.873 5.238 5.633
Sr 3.873 5.238 10.255
Sr 5.703 2.173 7.813
Sr 5.915 7.411 2.649
Zr 0.000 5.238 5.629
Zr 1.915 2.210 8.091
Zr 1.957 7.448 2.372
Zr 3.873 0.000 4.834
Zr 5.788 3.028 2.372
Zr 5.830 8.266 8.091
F 0.089 2.099 9.144
F 0.208 6.885 1.310
F 0.498 8.811 3.090
F 0.527 1.580 6.645
F 0.682 6.398 3.882
F 0.695 4.071 7.373
F 1.647 6.371 6.280
F 1.656 4.128 4.932
F 1.688 0.169 8.698
F 1.831 1.173 1.196
F 1.862 8.867 0.812
F 2.011 3.629 9.650
F 2.042 6.410 9.267
F 2.185 5.407 1.765
F 2.216 9.366 5.531
F 2.226 1.133 4.182
F 3.178 9.309 3.089
F 3.190 1.160 6.580
F 3.346 6.818 3.818
F 3.374 3.573 7.372
F 3.665 1.647 9.152
F 3.783 7.337 1.318
F 3.962 3.139 1.318
F 4.080 8.829 9.152
F 4.371 6.903 7.372
F 4.400 3.658 3.818
F 4.555 9.316 6.580
F 4.568 1.166 3.089
F 5.520 9.343 4.182
F 5.529 1.110 5.531
F 5.561 5.069 1.765
F 5.704 4.065 9.267
F 5.735 6.847 9.650
F 5.884 1.609 0.812
F 5.915 9.303 1.196
F 6.057 10.307 8.698
F 6.089 6.348 4.932
F 6.098 4.105 6.280
F 7.050 6.404 7.373
F 7.063 4.078 3.882
F 7.219 8.896 6.645
F 7.247 1.665 3.090
F 7.538 3.591 1.310
F 7.656 8.377 9.144
```

This entry pairs a crystal structure of TaF5 with its simulated PXRD pattern. Radiation: Cu Ka. Structure: the GGA-PBE geometry in the Materials Project.
Lines closer than 0.1° are merged.

The 8 most intense peaks (10 to 90 degrees two-theta), sorted by position:
| 2θ (°) | I_rel |
| --- | --- |
| 16.98 | 27 |
~~~
## Here the piece continues
The Judge will look at each case individually and make a judgement as to how long they have been married, how much of the estate was in existence before the marriage, how much has been accrued since, how many sproglings have been hatched as a result of the relationship, and the age/s of that/those sproglings.
For instance, a one year marriage with no kids will result in a small payout in comparison to a ten year marriage with four young kids.
It will probably be messy, and the lawyers will probably make a killing, but McC will no doubt come in with a very generous offer, in order to get it over with quickly. He will insist on a confidentiality clause and she will disappear into the country and live a quiet life.
I don't think she's a gold digger. When they first met, he chased her all over the place until she said yes. I'm not saying that the money wasn't a temptation for her, but I don't think that she set her sights on him, quite the reverse.
Since the marriage, however, her forthright and assertive nature has gradually emerged. If it was anyone else, she would be classed as a modern, independent woman who decided that enough was enough.
If that woman was married to a guy who had £100K, nobody would bat an eyelid if she claimed £10K of that. Quite the reverse.....they would be screaming that she should claim for half his stash.
So if McC offers her 10%, he'll be doing OK if she accepts. That would give her an estimated £50 - £80 million........but it still leaves him with nine times that amount. He could live on that, I reckon.
Paul married a fabulously rich Linda Eastman, heiress to the Eastman-Kodak film producers. So he knows a thing or two about ladder climbing.
I, surprising to me, have no immediate opinion. Just checking in...
Mornin' Osso.
[Misplaced crystal structures]
┌──
[1]
The following is a computed PXRD pattern of Sb2P6Pd21. It was derived from a crystal structure in Alexandria, relaxed with PBE, using λ = 1.5418 Å (Cu Kα).
Kinematic intensities with the Lorentz-polarization factor, no thermal factor.

Atomic structure:
Cell: 12.1611 12.1611 12.1611 Å, 90.00 90.00 90.00°
Space group Fm-3m (No. 225)
Inequivalent atoms, fractional coordinates:
Sb  0.2500  0.2500  0.2500 (multiplicity 8)
P  0.0000  0.0000  0.2378 (multiplicity 24)
Pd  0.0000  0.0000  0.5000 (multiplicity 4)
Pd  0.0000  0.1716  0.3284 (multiplicity 48)
Pd  0.1186  0.1186  0.1186 (multiplicity 32)

Main lines, low angle first (2θ = 10–90°):
2θ/deg  I (rel.)
32.94  20.5
36.19  27.3
38.46  100.0
42.03  29.7
44.05  28.8
65.08  24.8
66.60  14.6
76.79  21.1

***

[2]
The following is a computed PXRD pattern of SbPPd4. It was derived from a crystal structure in Alexandria, relaxed with PBE, using λ = 1.5418 Å (Cu Kα).
Kinematic intensities with the Lorentz-polarization factor, no thermal factor.

Atomic structure:
Cell: 6.5877 3.6648 16.4242 Å, 90.00 90.00 90.00°
Space group Pnma (No. 62)
Inequivalent atoms, fractional coordinates:
Sb  0.2474  0.2500  0.1976 (multiplicity 4)
P  0.2493  0.7500  0.4464 (multiplicity 4)
Pd  0.0207  0.2500  0.0629 (multiplicity 4)
Pd  0.0694  0.2500  0.8041 (multiplicity 4)
Pd  0.1227  0.2500  0.3595 (multiplicity 4)
Pd  0.1296  0.2500  0.5428 (multiplicity 4)

Main lines, low angle first (2θ = 10–90°):
2θ/deg  I (rel.)
35.54  100.0
36.69  54.8
39.29  18.5
40.33  35.2
46.92  30.6
48.07  16.7
49.76  30.2
70.79  17.5

***

[3]
The following is a computed PXRD pattern of PPd3Se. It was derived from a crystal structure in Alexandria, relaxed with PBE, using λ = 1.5418 Å (Cu Kα).
Kinematic intensities with the Lorentz-polarization factor, no thermal factor.

Atomic structure:
Cell: 3.7744 7.0326 7.0346 Å, 70.07 83.51 83.59°
Space group P1 (No. 1)
Inequivalent atoms, fractional coordinates:
P  0.0000  0.0000  0.0000 (multiplicity 1)
P  0.0012  0.5316  0.4675 (multiplicity 1)
Pd  0.0561  0.1812  0.6494 (multiplicity 1)
Pd  0.2401  0.8373  0.3049 (multiplicity 1)
Pd  0.4718  0.2032  0.0205 (multiplicity 1)
Pd  0.4724  0.5534  0.6704 (multiplicity 1)
Pd  0.5582  0.8579  0.8872 (multiplicity 1)
Pd  0.5592  0.4183  0.3259 (multiplicity 1)
Se  0.6183  0.0083  0.4776 (multiplicity 1)
Se  0.8782  0.5013  0.9688 (multiplicity 1)

Main lines, low angle first (2θ = 10–90°):
2θ/deg  I (rel.)
30.33  58.3
32.64  92.1
33.12  97.5
34.23  64.8
38.65  49.9
41.09  97.5
42.77  56.4
43.40  100.0

***

[4]
The following is a computed PXRD pattern of TlP2PdSe8. It was derived from a crystal structure in Alexandria, relaxed with PBE, using λ = 1.5418 Å (Cu Kα).
Kinematic intensities with the Lorentz-polarization factor, no thermal factor.

Atomic structure:
Cell: 5.9015 5.9015 32.6042 Å, 90.00 90.00 120.00°
Space group R-3 (No. 148, hexagonal axes)
Inequivalent atoms, fractional coordinates:
Tl  0.0000  0.0000  0.0000 (multiplicity 3)
└──
[The crystal structures stop here]
I don't really care who gets what, as both will end up with more moolah than I could ever dream of accumulating.
As far as the Eastman connection is concerned. At the time, it was said that Paul was attracted to her partly because money wasn't a factor, in her attraction towards him. He must have mellowed in his old age, as he refused to go down the prenup route with Heather.
Well, gee, even me, the least able human on earth re money and monies, can follow all this.....
or can I?
Someone clue me in, eh?
I'll just quickly speak up that it is possible not to marry for moeny.
My family was in despond for years after I entered my teens, and I got used to a bit of money and none at all as a routine.
Still, I had this idea one could accumulate money, if one had a regular job, which my dad did, but only off and on and then mostly off.
Well, not to go on and on, but it never occurred to me to marry for money.
Which is rather too bad.
I really can't see how people CAN marry for money, and be at peace with themselves.
OK, the Ferrari and the swimming pool may compensate in some way, but .........dunno. All a bit sordid, really.
I have no clue who Paul is, and who Heather is.
Marriage is complex. I have no idea if either of them are part villians.
Also, that is not my business.
Funny that the story seems to be huge in UK and the States.
I have not heard a thing about it in Germany.
I think it's always sad, when relationships fail, but that wasn't the question, was it?
I would have never married someone I did not love just for money. Everything else being equal (and in reality, it never is) if I cared a lot for two guys, one being rich, and one being poor, I would go for the rich one. It's a no-brainer.
Ellpus, did the British press hound them as they say? I'm certain that they were in the media often, they are celebrities after all, but was it an incessant thing?
To all of you critical of this thread, I suggest that you move on and not bother yourselves with it. A simple enough thing to do. Let us gossipmongers do our thing, as ugly and disgusting as it may be.
I should clarify that I know who Paul and Heather are as famous people - I don't know though how they act with each other in their real lives, and that's what I was saying was none of my business. Didn't mean to imply that the thread was out of line, though on rereading I can see why you could take it that way, eoe.
eoe wrote:Ellpus, did the British press hound them as they say? I'm certain that they were in the media often, they are celebrities after all, but was it an incessant thing?..............
I didn't really notice them in the press more than other celebrity couples.
The thing that did seem to come across though, was that the Press seemed to have a downer on her, and tended to portray her as both a gold digger and as trying to use her new found fame to push her various causes.
Whenever I've seen her on TV interviews, she's always come across as quite an ordinary woman, certainly not pushy.
Imagine one of the women on A2K suddenly marrying one of the most famous people in the world, then having the press basically make up stories about how she was manipulative, and making sure that a good few photos were taken on a regular basis.
I don't really blame her for wanting out.
Please excuse me if that didn't really flow. I've just got in from a 250 mile round trip, and my brain is not quite in synch with my typing fingers.
And it's a shame but the media is relentless when it comes to trashing someone. Some people can handle it, others can't, but surely she knew what she was in for marrying one of the most famous men of the 20th century?
I was rooting for them and saddened (to a degree of course) that they didn't make it.